Contents:
<<<
No. 1
Computed, not measured: 2 unconnected molecules or ions with the total composition C5H14, with the ωB97M-V functional and the def2-TZVPD basis.

Properties
Highest occupied orbital energy in eV: -11.204
Structure (SMILES): CCC.CC
Relative energy (zero: lowest compared OMol25 entry of this formula, charge and spin) in kcal per mole: 12.7

Geometry as ORCA input:
```
! RIJCOSX wB97M-V def2-TZVPD def2/J DEFGRID3
* xyz 0 1
C -0.906 -0.016 1.993
C -1.164 -0.422 0.523
C -2.555 0.174 0.102
H -1.646 0.740 2.276
H -1.215 -0.866 2.607
H 0.084 0.343 2.258
H -0.920 -1.456 0.305
H -0.534 0.228 -0.074
H -2.366 1.243 0.223
H -3.378 -0.058 0.767
H -2.811 -0.009 -0.939
C 2.400 -0.588 -1.573
C 2.096 0.768 -0.977
H 1.595 -0.919 -2.237
H 3.302 -0.631 -2.178
H 2.510 -1.406 -0.852
H 1.992 1.520 -1.765
H 2.915 1.177 -0.380
H 1.175 0.710 -0.423
*
```

=====

No. 2
Computed, not measured: 2 unconnected molecules or ions with the total composition C5H11O2, with the ωB97M-V functional and the def2-TZVPD basis.

Properties
Highest occupied orbital energy in eV: -3.828
Relative energy (zero: lowest compared OMol25 entry of this formula, charge and spin) in kcal per mole: 37.0

Geometry as ORCA input:
```
! RIJCOSX wB97M-V def2-TZVPD def2/J DEFGRID3
* xyz -1 1
C -0.067 0.129 -2.338
C 1.060 -0.903 -1.956
C -1.187 0.126 -1.197
O -1.946 1.111 -1.163
O -1.252 -0.958 -0.669
H 0.311 1.240 -2.271
H -0.338 -0.071 -3.393
H 1.175 -0.927 -0.865
H 2.032 -0.491 -2.433
H 0.943 -1.967 -2.109
C -0.801 0.173 2.126
C 0.639 0.584 2.519
H -1.634 -0.033 2.854
H -1.318 0.924 1.604
H -0.766 -0.815 1.495
H 0.836 1.571 2.328
H 0.843 0.185 3.576
H 1.469 0.121 1.891
*
```

=====

No. 3
Computed, not measured: a molecular structure, C29H23Br2Cl3N5O4Se3TeY, with the ωB97M-V functional and the def2-TZVPD basis.

Properties
Highest occupied orbital energy in eV: -6.640
Relative energy (zero: lowest compared OMol25 entry of this formula, charge and spin) in kcal per mole: 0.0

Geometry as ORCA input:
```
! RIJCOSX wB97M-V def2-TZVPD def2/J DEFGRID3
* xyz 0 1
Y 0.028 -0.047 -0.085
Cl 0.973 2.921 7.154
C 0.623 2.381 5.538
C 1.485 1.500 4.914
C 1.186 1.082 3.629
Cl 2.234 -0.050 2.821
C 0.057 1.520 2.914
O -0.192 1.131 1.699
C -0.788 2.405 3.611
Cl -2.219 2.952 2.805
C -0.518 2.836 4.896
H 2.373 1.142 5.414
H -1.195 3.518 5.390
O 4.462 4.498 -1.855
C 3.664 3.524 -1.384
C 3.140 3.527 -0.093
C 2.329 2.481 0.284
N 2.020 1.461 -0.527
C 2.530 1.486 -1.757
Br 2.005 0.061 -2.864
C 3.357 2.474 -2.241
H 4.580 5.186 -1.190
H 3.352 4.329 0.602
H 1.888 2.452 1.271
H 3.736 2.453 -3.251
O -5.992 -1.204 2.519
C -4.817 -0.936 1.915
C -4.694 -0.084 0.826
C -3.443 0.120 0.281
N -2.340 -0.468 0.761
C -2.491 -1.266 1.803
Br -0.884 -2.040 2.462
C -3.679 -1.551 2.431
H -6.706 -0.731 2.075
H -5.555 0.416 0.401
H -3.292 0.784 -0.559
H -3.738 -2.213 3.281
Se -0.830 -2.296 -1.775
Se -2.740 -1.413 -2.769
Te -1.779 0.619 -3.887
Se -1.095 1.924 -1.842
C 2.528 -2.345 5.884
C 2.766 -3.389 4.830
C 4.052 -3.777 4.470
C 4.265 -4.717 3.472
C 3.190 -5.306 2.821
N 3.453 -6.286 1.819
C 2.662 -6.548 0.716
O 2.531 -7.662 0.261
N 2.036 -5.448 0.150
C 2.510 -4.123 0.166
C 3.855 -3.789 0.151
C 4.201 -2.449 0.138
C 3.208 -1.491 0.117
N 1.906 -1.801 0.129
C 1.577 -3.094 0.172
C 1.898 -4.942 3.180
C 1.699 -3.992 4.169
H 3.383 -2.260 6.555
H 1.647 -2.579 6.481
H 2.361 -1.366 5.428
H 4.905 -3.334 4.971
H 5.273 -4.997 3.191
H 3.929 -7.117 2.135
H 1.361 -5.689 -0.559
H 4.612 -4.562 0.150
H 5.238 -2.145 0.127
H 3.455 -0.438 0.099
H 0.521 -3.333 0.203
H 1.047 -5.406 2.696
H 0.686 -3.731 4.452
*
```

=====

No. 4
Computed, not measured: a molecular structure, C2H4N2O3, with the ωB97M-V functional and the def2-TZVPD basis.

Properties
Highest occupied orbital energy in eV: -8.956
Relative energy (zero: lowest compared OMol25 entry of this formula, charge and spin) in kcal per mole: 185.4

Geometry as ORCA input:
```
! RIJCOSX wB97M-V def2-TZVPD def2/J DEFGRID3
* xyz 0 1
C -1.898 -0.049 0.467
C 1.585 -0.033 0.583
N 1.815 -1.143 -0.006
>>>
Brief:
What is needed: retype everything above with every line break kept.
Outcome:
No. 1
Computed, not measured: 2 unconnected molecules or ions with the total composition C5H14, with the ωB97M-V functional and the def2-TZVPD basis.

Properties
Highest occupied orbital energy in eV: -11.204
Structure (SMILES): CCC.CC
Relative energy (zero: lowest compared OMol25 entry of this formula, charge and spin) in kcal per mole: 12.7

Geometry as ORCA input:
```
! RIJCOSX wB97M-V def2-TZVPD def2/J DEFGRID3
* xyz 0 1
C -0.906 -0.016 1.993
C -1.164 -0.422 0.523
C -2.555 0.174 0.102
H -1.646 0.740 2.276
H -1.215 -0.866 2.607
H 0.084 0.343 2.258
H -0.920 -1.456 0.305
H -0.534 0.228 -0.074
H -2.366 1.243 0.223
H -3.378 -0.058 0.767
H -2.811 -0.009 -0.939
C 2.400 -0.588 -1.573
C 2.096 0.768 -0.977
H 1.595 -0.919 -2.237
H 3.302 -0.631 -2.178
H 2.510 -1.406 -0.852
H 1.992 1.520 -1.765
H 2.915 1.177 -0.380
H 1.175 0.710 -0.423
*
```

=====

No. 2
Computed, not measured: 2 unconnected molecules or ions with the total composition C5H11O2, with the ωB97M-V functional and the def2-TZVPD basis.

Properties
Highest occupied orbital energy in eV: -3.828
Relative energy (zero: lowest compared OMol25 entry of this formula, charge and spin) in kcal per mole: 37.0

Geometry as ORCA input:
```
! RIJCOSX wB97M-V def2-TZVPD def2/J DEFGRID3
* xyz -1 1
C -0.067 0.129 -2.338
C 1.060 -0.903 -1.956
C -1.187 0.126 -1.197
O -1.946 1.111 -1.163
O -1.252 -0.958 -0.669
H 0.311 1.240 -2.271
H -0.338 -0.071 -3.393
H 1.175 -0.927 -0.865
H 2.032 -0.491 -2.433
H 0.943 -1.967 -2.109
C -0.801 0.173 2.126
C 0.639 0.584 2.519
H -1.634 -0.033 2.854
H -1.318 0.924 1.604
H -0.766 -0.815 1.495
H 0.836 1.571 2.328
H 0.843 0.185 3.576
H 1.469 0.121 1.891
*
```

=====

No. 3
Computed, not measured: a molecular structure, C29H23Br2Cl3N5O4Se3TeY, with the ωB97M-V functional and the def2-TZVPD basis.

Properties
Highest occupied orbital energy in eV: -6.640
Relative energy (zero: lowest compared OMol25 entry of this formula, charge and spin) in kcal per mole: 0.0

Geometry as ORCA input:
```
! RIJCOSX wB97M-V def2-TZVPD def2/J DEFGRID3
* xyz 0 1
Y 0.028 -0.047 -0.085
Cl 0.973 2.921 7.154
C 0.623 2.381 5.538
C 1.485 1.500 4.914
C 1.186 1.082 3.629
Cl 2.234 -0.050 2.821
C 0.057 1.520 2.914
O -0.192 1.131 1.699
C -0.788 2.405 3.611
Cl -2.219 2.952 2.805
C -0.518 2.836 4.896
H 2.373 1.142 5.414
H -1.195 3.518 5.390
O 4.462 4.498 -1.855
C 3.664 3.524 -1.384
C 3.140 3.527 -0.093
C 2.329 2.481 0.284
N 2.020 1.461 -0.527
C 2.530 1.486 -1.757
Br 2.005 0.061 -2.864
C 3.357 2.474 -2.241
H 4.580 5.186 -1.190
H 3.352 4.329 0.602
H 1.888 2.452 1.271
H 3.736 2.453 -3.251
O -5.992 -1.204 2.519
C -4.817 -0.936 1.915
C -4.694 -0.084 0.826
C -3.443 0.120 0.281
N -2.340 -0.468 0.761
C -2.491 -1.266 1.803
Br -0.884 -2.040 2.462
C -3.679 -1.551 2.431
H -6.706 -0.731 2.075
H -5.555 0.416 0.401
H -3.292 0.784 -0.559
H -3.738 -2.213 3.281
Se -0.830 -2.296 -1.775
Se -2.740 -1.413 -2.769
Te -1.779 0.619 -3.887
Se -1.095 1.924 -1.842
C 2.528 -2.345 5.884
C 2.766 -3.389 4.830
C 4.052 -3.777 4.470
C 4.265 -4.717 3.472
C 3.190 -5.306 2.821
N 3.453 -6.286 1.819
C 2.662 -6.548 0.716
O 2.531 -7.662 0.261
N 2.036 -5.448 0.150
C 2.510 -4.123 0.166
C 3.855 -3.789 0.151
C 4.201 -2.449 0.138
C 3.208 -1.491 0.117
N 1.906 -1.801 0.129
C 1.577 -3.094 0.172
C 1.898 -4.942 3.180
C 1.699 -3.992 4.169
H 3.383 -2.260 6.555
H 1.647 -2.579 6.481
H 2.361 -1.366 5.428
H 4.905 -3.334 4.971
H 5.273 -4.997 3.191
H 3.929 -7.117 2.135
H 1.361 -5.689 -0.559
H 4.612 -4.562 0.150
H 5.238 -2.145 0.127
H 3.455 -0.438 0.099
H 0.521 -3.333 0.203
H 1.047 -5.406 2.696
H 0.686 -3.731 4.452
*
```

=====

No. 4
Computed, not measured: a molecular structure, C2H4N2O3, with the ωB97M-V functional and the def2-TZVPD basis.

Properties
Highest occupied orbital energy in eV: -8.956
Relative energy (zero: lowest compared OMol25 entry of this formula, charge and spin) in kcal per mole: 185.4

Geometry as ORCA input:
```
! RIJCOSX wB97M-V def2-TZVPD def2/J DEFGRID3
* xyz 0 1
C -1.898 -0.049 0.467
C 1.585 -0.033 0.583
N 1.815 -1.143 -0.006